File:
=====
1.
This entry pairs a crystal structure of TiAgIO6 with its theoretical powder diffraction line list. Radiation: λ = 1.5418 Å (Cu Kα). Structure: a DFT-relaxed cell (GGA-PBE, Alexandria).
No peak broadening, texture or thermal motion is included.

Most intense lines, 15 to 90 degrees two-theta, by angle:
Position (°2θ), d/Å, Rel. int.
21.38, 4.155, 19
26.03, 3.423, 100
34.30, 2.614, 41
43.56, 2.078, 21
49.29, 1.849, 42
56.58, 1.627, 30
78.29, 1.221, 16
82.50, 1.169, 14

Crystal structure
```
TiAgIO6
1.0
5.228 0.000 0.000
-2.614 4.528 0.000
0.000 0.000 10.460
Ti Ag I O
2 2 2 12
direct
0.333 0.667 0.250
0.667 0.333 0.750
0.000 0.000 0.000
0.000 0.000 0.500
0.333 0.667 0.750
0.667 0.333 0.250
0.010 0.385 0.647
0.010 0.625 0.853
0.375 0.385 0.853
0.375 0.990 0.647
0.385 0.010 0.147
0.385 0.375 0.353
0.615 0.625 0.647
0.615 0.990 0.853
0.625 0.010 0.353
0.625 0.615 0.147
0.990 0.375 0.147
0.990 0.615 0.353
```

=====

2.
This entry pairs a crystal structure of Tl2AgIO4 with its theoretical powder diffraction line list. Radiation: λ = 1.5418 Å (Cu Kα). Structure: a DFT-relaxed cell (GGA-PBE, Alexandria).
No peak broadening, texture or thermal motion is included.

Most intense lines, 15 to 90 degrees two-theta, by angle:
Position (°2θ), d/Å, Rel. int.
27.98, 3.188, 100
29.61, 3.017, 36
42.37, 2.133, 18
48.48, 1.878, 25
51.55, 1.773, 36
57.84, 1.594, 12
61.97, 1.498, 10
77.95, 1.226, 11

Crystal structure
```
Tl2AgIO4
1.0
-3.017 3.017 4.798
3.017 -3.017 4.798
3.017 3.017 -4.798
Tl Ag I O
2 1 1 4
direct
0.000 0.000 0.000
0.750 0.250 0.500
0.500 0.500 0.000
0.250 0.750 0.500
0.194 0.081 0.554
0.360 0.806 0.887
0.527 0.640 0.446
0.919 0.473 0.113
```

=====

3.
This entry pairs a crystal structure of ZnAg2IO6 with its theoretical powder diffraction line list. Radiation: λ = 1.5418 Å (Cu Kα). Structure: a DFT-relaxed cell (GGA-PBE, Alexandria).
No peak broadening, texture or thermal motion is included.

Most intense lines, 15 to 90 degrees two-theta, by angle:
Position (°2θ), d/Å, Rel. int.
31.55, 2.835, 38
32.05, 2.793, 76
32.27, 2.774, 100
45.77, 1.983, 39
46.47, 1.954, 17
56.50, 1.629, 15
57.27, 1.609, 33
57.69, 1.598, 13

Crystal structure
```
ZnAg2IO6
1.0
4.772 -2.835 0.000
4.772 2.835 0.000
-3.182 0.000 4.543
Zn Ag I O
1 2 1 6
direct
0.000 0.000 0.000
0.241 0.241 0.764
0.759 0.759 0.236
0.500 0.500 0.500
0.200 0.679 0.206
0.267 0.267 0.381
0.321 0.800 0.794
0.679 0.200 0.206
0.733 0.733 0.619
0.800 0.321 0.794
```

=====

4.
This entry pairs a crystal structure of Zr2AgIO8 with its theoretical powder diffraction line list. Radiation: λ = 1.5418 Å (Cu Kα). Structure: a DFT-relaxed cell (GGA-PBE, Alexandria).
No peak broadening, texture or thermal motion is included.

Most intense lines, 15 to 90 degrees two-theta, by angle:
Position (°2θ), d/Å, Rel. int.
25.90, 3.440, 59
26.12, 3.412, 57
32.17, 2.782, 100
37.12, 2.422, 25
49.79, 1.831, 40
50.04, 1.823, 38
60.91, 1.521, 11
63.81, 1.459, 23

Crystal structure
```
Zr2AgIO8
1.0
3.412 -3.440 0.000
3.412 3.440 0.000
0.000 0.000 6.797
Zr Ag I O
2 1 1 8
direct
0.000 0.000 0.239
0.000 0.000 0.761
0.500 0.500 0.000
0.500 0.500 0.500
0.182 0.818 0.000
0.214 0.786 0.500
0.303 0.303 0.294
0.303 0.303 0.706
0.697 0.697 0.294
0.697 0.697 0.706
0.786 0.214 0.500
0.818 0.182 0.000
```

=====

5.
This entry pairs a crystal structure of AgPbI3 with its theoretical powder diffraction line list. Radiation: λ = 1.5418 Å (Cu Kα). Structure: a DFT-relaxed cell (GGA-PBE, Alexandria).
No peak broadening, texture or thermal motion is included.

Most intense lines, 15 to 90 degrees two-theta, by angle:
Position (°2θ), d/Å, Rel. int.
22.52, 3.948, 65
24.86, 3.582, 100
29.00, 3.079, 49
32.33, 2.769, 62
32.52, 2.753, 52
38.17, 2.358, 45
38.67, 2.328, 79
42.17, 2.143, 49

Crystal structure
```
AgPbI3
1.0
2.358 -12.048 0.000
2.358 12.048 0.000
0.000 0.000 7.563
Ag Pb I
2 2 6
direct
0.112 0.888 0.500
0.888 0.112 0.000
0.339 0.661 0.586
0.661 0.339 0.086
0.099 0.901 0.873
0.222 0.778 0.333
0.438 0.562 0.856
=====

To do:
The reader should work out how many lines further up have the word "by" in them; a number is enough.

Response:
5